-- Material --
+++
# TbGaPd3
Calculated PXRD pattern, CuKα. Input: DFT lattice parameters and positions (PBE).
Peak positions follow from Bragg's law for the DFT cell and can differ from measured ones.

Atomic structure:
Cell lengths 6.2548, 6.2548, 6.2548 Å; angles 65.58, 65.58, 65.58 degrees
Element x y z (fractional)
1 Tb 0.0000 0.0000 0.0000
2 Tb 0.5000 0.5000 0.5000
3 Ga 0.2947 0.2947 0.2947
4 Ga 0.7947 0.7947 0.7947
5 Pd 0.0960 0.9650 0.4399
6 Pd 0.4399 0.0960 0.9650
7 Pd 0.4650 0.5960 0.9399
8 Pd 0.5960 0.9399 0.4650
9 Pd 0.9399 0.4650 0.5960
10 Pd 0.9650 0.4399 0.0960

Largest 12 diffraction maxima, in order of falling intensity, 5° ≤ 2θ ≤ 70°:
| d [Å] | Position (°2θ) | I/Imax |
| --- | --- | --- |
| 2.289 | 39.4 | 100.0 |
| 2.723 | 32.9 | 95.6 |
| 2.440 | 36.8 | 57.6 |
| 2.783 | 32.2 | 47.3 |
| 1.897 | 48.0 | 38.6 |
| 3.388 | 26.3 | 31.7 |
| 2.193 | 41.2 | 30.3 |
| 2.122 | 42.6 | 28.0 |
| 1.956 | 46.4 | 23.8 |
| 1.553 | 59.5 | 18.7 |
| 1.694 | 54.1 | 18.6 |
| 1.768 | 51.7 | 15.4 |

=====

For Na3SrBi2, a GGA-PBE-relaxed structure gives the calculated X-ray powder pattern in this record (Cu Kα (weighted mean of Kα1 and Kα2)).
Intensities are scaled so that the largest is 1000.

Principal peaks in the range 2θ = 10–90°, in order of rising 2θ:
- hkl 2 0 1, 4.888 Å, I = 572
- hkl 1 1 -1, 4.493 Å, I = 780
- hkl 4 0 0, 4.133 Å, I = 756
- hkl 3 1 0, 3.723 Å, I = 1000
- hkl 3 1 1, 3.068 Å, I = 709
- hkl 5 1 -1, 3.010 Å, I = 977
- hkl 1 1 -3, 2.629 Å, I = 642
- hkl 5 1 -3, 2.577 Å, I = 816
- hkl 0 2 0, 2.528 Å, I = 587
- hkl 2 0 -4, 2.372 Å, I = 607

Atomic structure:
```
data_Na3SrBi2
_chemical_formula_sum 'Na12 Sr4 Bi8'
_cell_length_a 18.8710
_cell_length_b 5.0564
_cell_length_c 9.8019
_cell_angle_alpha 90.00
_cell_angle_beta 118.97
_cell_angle_gamma 90.00
_space_group_name_H-M_alt 'C 1 2/m 1'
_space_group_IT_number 12
loop_
_space_group_symop_operation_xyz
'x,y,z'
'-x,-y,-z'
'-x,y,-z'
'x,-y,z'
'x+1/2,y+1/2,z'
'-x+1/2,-y+1/2,-z'
+++

-- Assignment --
Your job: echo the lines further above from the one with "---" to the one with "95.6" with every line break kept.

-- Worked solution --
| --- | --- | --- |
| 2.289 | 39.4 | 100.0 |
| 2.723 | 32.9 | 95.6 |